Wanted =
Now return everything underneath exactly.

Listing =
┌──
110
Properties=species:S:1:pos:R:3:forces:R:3:lowdin_charge:R:1 method="wB97M-V/def2-TZVPD" e_above_lowest_kj_mol=0.00 energy_ha=-7483.5741 fmax_ev_per_a=1.0 orbital_gap_ev=5.464 charge=+2
Ru 0.33923 -0.06881 0.18455 0.426 0.864 -0.044 0.216
F 1.55540 -5.53265 -0.91970 0.020 0.143 0.019 -0.289
Ge 1.29941 -3.80730 -0.59783 0.051 -0.097 -0.051 1.002
C 0.96888 -3.29870 -2.48307 0.007 -0.077 0.199 -0.236
C 1.21723 -4.35428 -3.37508 0.092 -0.172 0.134 -0.082
C 1.08533 -4.20796 -4.74203 -0.012 0.010 -0.029 -0.042
C 0.68488 -2.99276 -5.27363 0.015 0.002 0.017 -0.038
C 0.43249 -1.94479 -4.41632 -0.034 0.003 -0.059 -0.091
C 0.58335 -2.08170 -3.03189 -0.148 0.162 0.111 -0.392
P 0.05949 -0.58890 -2.12512 -0.125 -0.126 0.157 0.961
C 1.03226 0.70530 -2.98734 -0.001 0.010 0.055 -0.353
C 2.29429 0.34777 -3.46848 -0.044 -0.016 -0.083 -0.100
C 3.06517 1.25158 -4.17979 -0.118 -0.013 -0.058 -0.066
C 2.60222 2.53827 -4.40724 -0.107 -0.012 -0.017 -0.056
C 1.36892 2.91964 -3.90178 0.066 0.009 -0.048 -0.056
C 0.59312 2.01518 -3.19477 -0.003 -0.007 0.009 -0.146
C -1.67327 -0.53510 -2.72356 0.126 -0.184 -0.046 -0.354
C -2.22112 0.41896 -3.57319 -0.008 -0.009 0.080 -0.078
C -3.48467 0.22765 -4.11758 -0.094 -0.030 0.014 -0.054
C -4.19972 -0.92644 -3.84473 0.047 0.067 0.023 -0.052
C -3.65322 -1.89423 -3.01103 -0.023 -0.031 0.031 -0.061
C -2.40657 -1.69594 -2.45026 0.138 -0.017 -0.036 -0.116
C -0.08595 -4.07794 0.81162 0.167 0.044 -0.170 -0.223
C -0.08050 -5.41361 1.23778 0.226 -0.220 -0.131 -0.089
C -0.93421 -5.90301 2.20866 -0.026 -0.003 0.014 -0.038
C -1.84939 -5.05709 2.80480 0.040 0.075 -0.055 -0.037
C -1.86320 -3.73198 2.41925 0.013 -0.053 0.085 -0.131
C -0.99564 -3.22243 1.43779 -0.149 0.124 0.111 -0.371
P -1.27298 -1.43840 1.18352 0.354 0.153 -0.201 0.993
C -1.48387 -0.90446 2.92545 -0.046 0.210 -0.025 -0.438
C -2.42149 0.07507 3.26105 0.082 -0.064 -0.071 -0.092
C -2.50560 0.54546 4.56106 0.011 0.008 0.080 -0.053
C -1.66177 0.04310 5.54231 -0.011 0.006 0.010 -0.048
C -0.73400 -0.93732 5.21999 -0.023 0.024 0.043 -0.054
C -0.64390 -1.40947 3.92258 0.014 0.060 -0.138 -0.138
C -2.97451 -1.32479 0.51281 -0.004 -0.049 0.062 -0.346
C -3.80240 -2.44809 0.44646 0.065 0.015 -0.067 -0.078
C -5.13043 -2.32588 0.06843 0.034 -0.023 -0.027 -0.055
C -5.65324 -1.08908 -0.26767 -0.014 0.012 -0.027 -0.052
C -4.83588 0.02943 -0.23285 0.001 0.059 -0.013 -0.051
C -3.51234 -0.09001 0.15377 -0.038 -0.052 0.064 -0.143
C 3.13470 -3.41667 0.01568 -0.151 -0.102 -0.090 -0.245
C 3.97991 -4.53099 0.09454 -0.120 -0.162 -0.108 -0.077
C 5.31553 -4.40938 0.43067 0.028 0.025 0.010 -0.041
C 5.85346 -3.16078 0.70679 -0.046 0.002 -0.015 -0.040
C 5.03163 -2.05388 0.65826 0.044 -0.020 0.067 -0.100
C 3.68198 -2.17394 0.30735 -0.039 0.177 0.003 -0.389
P 2.69939 -0.66551 0.52843 -0.340 -0.710 0.326 0.997
C 3.15432 -0.34641 2.27105 0.040 -0.048 -0.034 -0.448
C 2.77781 -1.33431 3.18211 -0.054 -0.016 -0.104 -0.128
C 3.08522 -1.20338 4.52147 0.002 0.019 0.087 -0.059
C 3.77143 -0.08034 4.96956 0.020 0.039 -0.026 -0.050
C 4.16191 0.89572 4.06631 0.004 -0.019 0.087 -0.054
C 3.86326 0.76259 2.71616 -0.030 0.038 -0.087 -0.095
C 3.52228 0.63223 -0.43349 -0.111 -0.004 -0.051 -0.360
C 3.07397 1.94941 -0.30837 -0.049 -0.077 -0.003 -0.114
C 3.69564 2.97318 -1.00227 0.081 0.038 -0.052 -0.049
C 4.78439 2.69174 -1.81655 0.002 0.012 0.113 -0.055
C 5.22637 1.38497 -1.95638 0.054 0.004 0.091 -0.063
C 4.58692 0.35337 -1.28924 0.065 0.050 0.128 -0.085
H 1.51858 -5.31768 -2.99414 -0.004 0.020 0.021 0.098
H 1.28881 -5.04919 -5.38950 0.002 -0.031 -0.015 0.119
H 0.56205 -2.86491 -6.33955 0.002 0.006 -0.038 0.119
H 0.10150 -1.00036 -4.82815 -0.010 0.033 -0.013 0.117
H 2.66765 -0.65729 -3.31987 0.001 -0.006 0.002 0.113
H 4.02720 0.94391 -4.56512 0.014 -0.010 -0.014 0.120
H 3.19724 3.23875 -4.97675 0.015 0.023 -0.018 0.119
H 0.99702 3.92014 -4.07088 -0.012 0.051 -0.014 0.115
H -0.36245 2.34856 -2.82503 -0.021 0.005 -0.037 0.039
H -1.67223 1.29782 -3.86174 0.074 0.078 -0.026 0.086
└──

Worked solution =
110
Properties=species:S:1:pos:R:3:forces:R:3:lowdin_charge:R:1 method="wB97M-V/def2-TZVPD" e_above_lowest_kj_mol=0.00 energy_ha=-7483.5741 fmax_ev_per_a=1.0 orbital_gap_ev=5.464 charge=+2
Ru 0.33923 -0.06881 0.18455 0.426 0.864 -0.044 0.216
F 1.55540 -5.53265 -0.91970 0.020 0.143 0.019 -0.289
Ge 1.29941 -3.80730 -0.59783 0.051 -0.097 -0.051 1.002
C 0.96888 -3.29870 -2.48307 0.007 -0.077 0.199 -0.236
C 1.21723 -4.35428 -3.37508 0.092 -0.172 0.134 -0.082
C 1.08533 -4.20796 -4.74203 -0.012 0.010 -0.029 -0.042
C 0.68488 -2.99276 -5.27363 0.015 0.002 0.017 -0.038
C 0.43249 -1.94479 -4.41632 -0.034 0.003 -0.059 -0.091
C 0.58335 -2.08170 -3.03189 -0.148 0.162 0.111 -0.392
P 0.05949 -0.58890 -2.12512 -0.125 -0.126 0.157 0.961
C 1.03226 0.70530 -2.98734 -0.001 0.010 0.055 -0.353
C 2.29429 0.34777 -3.46848 -0.044 -0.016 -0.083 -0.100
C 3.06517 1.25158 -4.17979 -0.118 -0.013 -0.058 -0.066
C 2.60222 2.53827 -4.40724 -0.107 -0.012 -0.017 -0.056
C 1.36892 2.91964 -3.90178 0.066 0.009 -0.048 -0.056
C 0.59312 2.01518 -3.19477 -0.003 -0.007 0.009 -0.146
C -1.67327 -0.53510 -2.72356 0.126 -0.184 -0.046 -0.354
C -2.22112 0.41896 -3.57319 -0.008 -0.009 0.080 -0.078
C -3.48467 0.22765 -4.11758 -0.094 -0.030 0.014 -0.054
C -4.19972 -0.92644 -3.84473 0.047 0.067 0.023 -0.052
C -3.65322 -1.89423 -3.01103 -0.023 -0.031 0.031 -0.061
C -2.40657 -1.69594 -2.45026 0.138 -0.017 -0.036 -0.116
C -0.08595 -4.07794 0.81162 0.167 0.044 -0.170 -0.223
C -0.08050 -5.41361 1.23778 0.226 -0.220 -0.131 -0.089
C -0.93421 -5.90301 2.20866 -0.026 -0.003 0.014 -0.038
C -1.84939 -5.05709 2.80480 0.040 0.075 -0.055 -0.037
C -1.86320 -3.73198 2.41925 0.013 -0.053 0.085 -0.131
C -0.99564 -3.22243 1.43779 -0.149 0.124 0.111 -0.371
P -1.27298 -1.43840 1.18352 0.354 0.153 -0.201 0.993
C -1.48387 -0.90446 2.92545 -0.046 0.210 -0.025 -0.438
C -2.42149 0.07507 3.26105 0.082 -0.064 -0.071 -0.092
C -2.50560 0.54546 4.56106 0.011 0.008 0.080 -0.053
C -1.66177 0.04310 5.54231 -0.011 0.006 0.010 -0.048
C -0.73400 -0.93732 5.21999 -0.023 0.024 0.043 -0.054
C -0.64390 -1.40947 3.92258 0.014 0.060 -0.138 -0.138
C -2.97451 -1.32479 0.51281 -0.004 -0.049 0.062 -0.346
C -3.80240 -2.44809 0.44646 0.065 0.015 -0.067 -0.078
C -5.13043 -2.32588 0.06843 0.034 -0.023 -0.027 -0.055
C -5.65324 -1.08908 -0.26767 -0.014 0.012 -0.027 -0.052
C -4.83588 0.02943 -0.23285 0.001 0.059 -0.013 -0.051
C -3.51234 -0.09001 0.15377 -0.038 -0.052 0.064 -0.143
C 3.13470 -3.41667 0.01568 -0.151 -0.102 -0.090 -0.245
C 3.97991 -4.53099 0.09454 -0.120 -0.162 -0.108 -0.077
C 5.31553 -4.40938 0.43067 0.028 0.025 0.010 -0.041
C 5.85346 -3.16078 0.70679 -0.046 0.002 -0.015 -0.040
C 5.03163 -2.05388 0.65826 0.044 -0.020 0.067 -0.100
C 3.68198 -2.17394 0.30735 -0.039 0.177 0.003 -0.389
P 2.69939 -0.66551 0.52843 -0.340 -0.710 0.326 0.997
C 3.15432 -0.34641 2.27105 0.040 -0.048 -0.034 -0.448
C 2.77781 -1.33431 3.18211 -0.054 -0.016 -0.104 -0.128
C 3.08522 -1.20338 4.52147 0.002 0.019 0.087 -0.059
C 3.77143 -0.08034 4.96956 0.020 0.039 -0.026 -0.050
C 4.16191 0.89572 4.06631 0.004 -0.019 0.087 -0.054
C 3.86326 0.76259 2.71616 -0.030 0.038 -0.087 -0.095
C 3.52228 0.63223 -0.43349 -0.111 -0.004 -0.051 -0.360
C 3.07397 1.94941 -0.30837 -0.049 -0.077 -0.003 -0.114
C 3.69564 2.97318 -1.00227 0.081 0.038 -0.052 -0.049
C 4.78439 2.69174 -1.81655 0.002 0.012 0.113 -0.055
C 5.22637 1.38497 -1.95638 0.054 0.004 0.091 -0.063
C 4.58692 0.35337 -1.28924 0.065 0.050 0.128 -0.085
H 1.51858 -5.31768 -2.99414 -0.004 0.020 0.021 0.098
H 1.28881 -5.04919 -5.38950 0.002 -0.031 -0.015 0.119
H 0.56205 -2.86491 -6.33955 0.002 0.006 -0.038 0.119
H 0.10150 -1.00036 -4.82815 -0.010 0.033 -0.013 0.117
H 2.66765 -0.65729 -3.31987 0.001 -0.006 0.002 0.113
H 4.02720 0.94391 -4.56512 0.014 -0.010 -0.014 0.120
H 3.19724 3.23875 -4.97675 0.015 0.023 -0.018 0.119
H 0.99702 3.92014 -4.07088 -0.012 0.051 -0.014 0.115
H -0.36245 2.34856 -2.82503 -0.021 0.005 -0.037 0.039
H -1.67223 1.29782 -3.86174 0.074 0.078 -0.026 0.086